Thursday, January 17, 2008

Someone pasted calculated crystals at this point >
-- begin --
PBE-GGA P4Ru, relaxed; offset from the most stable computed form = 16 meV/atom; ΔH_f (0 K) = -431 meV per atom
1.0
-1.258 1.259 -4.352
-4.340 -1.692 0.765
-3.115 5.890 2.604
P Ru
8 2
direct
0.192 0.215 0.251
0.692 0.785 0.249
0.808 0.785 0.749
0.308 0.215 0.751
0.650 0.379 0.912
-- stop --
Back to the article >

Final Reflection on CEdu525

It is amazing to me how quickly these classes are passing us by! I can't believe we have finished three classes already!

I have learned a lot in this class, and I have so many new resources to use... I just wish there were more "free" hours in a day so I could sit and explore some of them more thoroughly! I think "Thinkfinity" is still my favorite site we have learned about in this class - there is just so much there. I have gone back to it a few times already while planning lessons for my students, and I have used a couple ideas already. I am sure I will use many more in the future.

Toondo is another site I am excited about. I have not used it with my students yet, but I am planning to use it with my literature classes. I want to have them create a cartoon based on a scene in the novel we are reading. I think they would really enjoy that - it is something different than they have done in the past.

I enjoyed creating the scavenger hunt, and I plan to use that soon. We haven't started the Geometry unit yet. I found a few other neat ones while I was looking for examples and I will have to go back and look at those again.

Trinie and I have had an absolute blast with Facebook. I have never played so many Scrabble games in such a short period of time. It is really a good way to stay connected with people. I didn't really understand how I would use it in my classroom, but then when we talked about the closed social networks, I started to see some possibilities. When Wayne showed us his Chemistry network last night, I realized the potential. I think it would be great for the kids to be able to talk in a "safe" situation about homework and to discuss topics related to the curriculum. I am going to talk to my principal about the possibility of doing this with my class.

The 10 website assignment was a lot of work and at the time I was complaining about it, but now that it is done, I really like what I have. I needed a change in my tessellation unit, and now I have MANY new ideas to incorporate.

Voicethread really seems like an amazing resource. I think it would be great to create a slide show for Open House and let the kids add dialog to the pictures. The parents would really enjoy seeing/hearing something like that.

Finally, I am excited about Web Quests. I found a neat one on M&Ms and statistics. I don't know if I will use the entire web quest with my seventh graders, but I am going to take parts of it and include it in my unit. I want to look for more web quests and maybe, eventually, make one of my own.

I am always excited after class and anxious to implement the things I am learning about!

The page is interrupted by calculated crystals.
<<<
1.
A relaxed NdCuS2 crystal. Source: Materials Project, functional PBE.

Summary:
**Space group**: P2_1/c, No. 14
**Formation enthalpy at 0 K**: -6.51 eV per formula unit

Cell lengths 6.512, 7.204, 6.889 Å; angles 90.00, 97.54, 90.00 degrees
Fractional coordinates of all 16 atoms:
Nd (0.191, 0.050, 0.300)
Nd (0.191, 0.450, 0.800)
Nd (0.809, 0.550, 0.200)
Nd (0.809, 0.950, 0.700)
Cu (0.426, 0.664, 0.451)
Cu (0.426, 0.836, 0.951)
Cu (0.574, 0.164, 0.049)
Cu (0.574, 0.336, 0.549)
S (0.085, 0.726, 0.499)
S (0.085, 0.774, 0.999)
S (0.410, 0.114, 0.722)
S (0.410, 0.386, 0.222)
S (0.590, 0.614, 0.778)
S (0.590, 0.886, 0.278)
S (0.915, 0.226, 0.001)
S (0.915, 0.274, 0.501)

2.
A relaxed Nd3CuSiS7 crystal. Source: Materials Project, functional PBE.

Summary:
**Space group**: P6_3, No. 173
**Formation enthalpy at 0 K**: -22.11 eV per formula unit

Cell lengths 10.194, 10.194, 5.793 Å; angles 90.00, 90.00, 120.00 degrees
Fractional coordinates of all 24 atoms:
Nd (0.125, 0.357, 0.000)
Nd (0.232, 0.875, 0.000)
Nd (0.357, 0.232, 0.500)
Nd (0.643, 0.768, 0.000)
Nd (0.768, 0.125, 0.500)
Nd (0.875, 0.643, 0.500)
Cu (0.000, 0.000, 0.474)
Cu (0.000, 0.000, 0.974)
Si (0.333, 0.667, 0.586)
Si (0.667, 0.333, 0.086)
S (0.087, 0.252, 0.485)
S (0.112, 0.588, 0.730)
S (0.164, 0.913, 0.485)
S (0.252, 0.164, 0.985)
S (0.333, 0.667, 0.221)
S (0.412, 0.524, 0.730)
S (0.476, 0.888, 0.730)
S (0.524, 0.112, 0.230)
S (0.588, 0.476, 0.230)
S (0.667, 0.333, 0.721)
S (0.748, 0.836, 0.485)
S (0.836, 0.087, 0.985)
S (0.888, 0.412, 0.230)
S (0.913, 0.748, 0.985)

3.
A relaxed Nd5CuSe8 crystal. Source: Materials Project, functional PBE.

Summary:
**Piezoelectric modulus e_max**: 0.33 C/m²
**Space group**: I-4, No. 82
**Formation enthalpy at 0 K**: -26.62 eV per formula unit

Cell lengths 7.701, 7.701, 7.701 Å; angles 110.31, 110.31, 107.80 degrees
Fractional coordinates of all 14 atoms:
Nd (0.000, 0.000, 0.000)
Nd (0.133, 0.252, 0.623)
Nd (0.489, 0.867, 0.119)
Nd (0.629, 0.511, 0.377)
Nd (0.748, 0.371, 0.881)
Cu (0.250, 0.750, 0.500)
Se (0.011, 0.615, 0.759)
Se (0.228, 0.488, 0.129)
Se (0.359, 0.099, 0.871)
Se (0.385, 0.143, 0.396)
Se (0.512, 0.641, 0.740)
Se (0.748, 0.989, 0.604)
Se (0.857, 0.252, 0.241)
Se (0.901, 0.772, 0.260)

4.
A relaxed NdCuSe2 crystal. Source: Materials Project, functional PBE.

Summary:
**Space group**: P2_1/c, No. 14
**Formation enthalpy at 0 K**: -5.90 eV per formula unit

Cell lengths 6.745, 7.509, 7.220 Å; angles 90.00, 96.53, 90.00 degrees
Fractional coordinates of all 16 atoms:
Nd (0.193, 0.045, 0.299)
Nd (0.193, 0.455, 0.799)
Nd (0.807, 0.545, 0.201)
Nd (0.807, 0.955, 0.701)
Cu (0.431, 0.660, 0.454)
Cu (0.431, 0.840, 0.954)
Cu (0.569, 0.160, 0.046)
Cu (0.569, 0.340, 0.546)
Se (0.081, 0.724, 0.498)
Se (0.081, 0.776, 0.998)
Se (0.402, 0.112, 0.721)
Se (0.402, 0.388, 0.221)
Se (0.598, 0.612, 0.779)
Se (0.598, 0.888, 0.279)
Se (0.919, 0.224, 0.002)
Se (0.919, 0.276, 0.502)

5.
A relaxed Nd3CuSiSe7 crystal. Source: Materials Project, functional PBE.
>>>
The page goes on.

Saturday, January 12, 2008

Internet Safety

It was a sobering class this week. It is really scary to see what can happen to kids who don't take internet safety seriously. It is amazing how easy it is to locate someone based on seemingly small bits of personal information. The videos we watched in class and the articles I have read this week really show the need to educate students of the dangers that are out there and how to stay safe. It is not realistic, in our world today, to keep kids away from the internet to keep them safe. It is so important for them to be exposed to all the information out there to prepare them for life after school. Therefore, we have to take the initiative, as educators, to do what we can to talk to them about the problems and how to avoid the dangers while still using all the valuable information out there!